Monday, March 30, 2020

March 30, 2020 - Day 13 of Quarantining (Week 54) - Susquehanna, PA

Hello everyone!

We are still in quarantine and it doesn't look like that's going to change anytime soon.... However, we have been able to take lots of virtual tours which has saved my sanity. Thank goodness for technology!

Honestly nothing very exciting has happened here. This week is General Conference though which I am very excited about. I hope you all are preparing yourselves to have an amazing experience.  President Nelson promised us that as we prepare for this conference it will be UNFORGETTABLE. 

This week during the tours that we were able to take I thought of something that I had never thought of before. Last conference during the women's session President Nelson said, "Everything that happened in this area has profound implications for your lives." As I pondered this, it hit me how TRUE that statement is.

Here in Harmony is where the priesthood was restored and where the Book of Mormon was translated. Just think about how the priesthood was able to bless Joseph and Emma's life. And now, just think about how almost 200 years later after it was restored, we are able to have so many amazing blessings because of it.

Now think about how you have been blessed by the priesthood in this certain circumstance. You are able to partake of the sacrament and still able to receive blessings. You are all sooooo lucky!! Just remember that next time you complain about the situation haha. 

Well, I love you all and I hope you have a great time in quarantine and keep up that social distancing!

/ Sister Larsen

Tuesday, March 24, 2020

March 23, 2020 - "Wow, missionary work has changed a lot over the past few years. Actually more like the past week." (Week 53) - Susquehanna, PA

Hello Everyone!

I hope you all are surviving the coronavirus. So far I am definitely happy and healthy, thank goodness for the Priesthood Restoration Site being in the middle of nowhere. 

Things here have been changing on a daily basis. Definitely one of the craziest weeks of my mission. We have been in quarantined for about a week now and the work has not slowed down one bit! We have received permission to do virtual tours here at the Site. It has been going very well, so if you would like to see why Harmony is so special to me (and the church) click on this link and set up a time to take a tour. Sister Rodriguez and I would love to take you all! It's also a great way to prepare for conference!👇👇👇

One thing that my mission president shared with all the missionaries this week was that God knows the amount of days that each missionary will serve. He told a story of when Randall K. Bennet, the area seventy, was on an assignment with President Nelson. The subject of missionary work came up and President Nelson shared that before we are even born, God knows how many days each of us will serve him as missionaries. This is just all of God's plan, and it is up to us to trust Him and look forward with faith. 

Keep on washing your hands and don't forget to stay 6 feet away from everyone!

Sister Larsen

Tuesday, March 17, 2020

March 16, 2020 - "you make your plans and you hear God laughing" (Week 52) - Susquehanna, PA

Ain't it funny how life changes? 

Wow so much has happened this week so make sure you stay tuned for a crazy email!

First off, I hit my 1 year mark. WOOT WOOT!!!

The week just started off pretty normal. The site was very busy but it wasn't anything that we couldn't handle. Slowly each day is when we got more and more news that the church had published. The biggest shock was learning that all church meetings around the world had been suspended. 

Well, that is when we really started wondering about the site here. So many people come here from all over the world, so we would have a good chance of getting it. Saturday comes around, the phone is ringing like crazy and we are just taking it hour by hour waiting to find out what's going to happen. Well, later that day we found out that all of the church history sites will be closed until May 1st. 

Well, on Sunday we got a call telling us that we were going to be sent out proselyting until things calmed down and until the site opens. That was kind of sad, but God truly does have a plan. Well, we were getting ready to head out for 6 weeks and then we got another call. So now we are staying here until further notice. We have truly been bombarded with so many things this week.

But on a brighter side of things, Hermana Rodriguez and I took some AMAZING tours! 

Someone pasted crystal structures at this point.
<<<
For Pm2MnRuO8, DFT lattice parameters and positions (PBE+U) gives the calculated X-ray powder pattern in this record (Cu Kα).
Intensities are scaled so that the largest is 100.

The 10 most intense peaks (5° ≤ 2θ ≤ 70°), sorted by position:
2θ/deg, I_rel
22.82, 21
25.55, 100
27.18, 40
30.28, 20
32.40, 98
32.49, 35
45.38, 19
45.56, 19
49.48, 31
49.66, 29

Cell and atoms:
Unit cell a=4.770 b=4.806 c=6.766 alpha=90.04 beta=90.09 gamma=93.47
Element x y z (fractional)
Pm (0.075, 0.069, 0.241)
Pm (0.925, 0.931, 0.759)
Mn (0.500, 0.500, 0.000)
Ru (0.500, 0.500, 0.500)
O (0.219, 0.219, 0.949)
O (0.228, 0.232, 0.550)
O (0.284, 0.623, 0.253)
O (0.375, 0.718, 0.745)
O (0.625, 0.282, 0.255)
O (0.716, 0.377, 0.747)
O (0.772, 0.768, 0.450)
O (0.781, 0.781, 0.051)

=====

Sr2YTlV2O7: simulated powder XRD pattern (CuKα), based on a DFT-relaxed cell (GGA+U, Alexandria).

Cell lengths 3.7678, 4.0482, 13.0412 Å; angles 90.00, 90.00, 90.00 degrees
Fractional positions:
Sr: 0.0000 0.0000 0.1844
Sr: 0.0000 0.0000 0.8156
Y: 0.0000 0.0000 0.5000
Tl: 0.5000 0.5000 0.0000
V: 0.5000 0.5000 0.3514
V: 0.5000 0.5000 0.6486
O: 0.0000 0.0000 0.0000
O: 0.0000 0.5000 0.3982
O: 0.0000 0.5000 0.6018
O: 0.5000 0.0000 0.3852
O: 0.5000 0.0000 0.6148
O: 0.5000 0.5000 0.2062
O: 0.5000 0.5000 0.7938

The 10 most intense peaks (15° ≤ 2θ ≤ 90°), in order of rising 2θ:
2θ = 30.17°, rel. 100.0, (0 1 3)
2θ = 31.42°, rel. 95.4, (1 0 3)
2θ = 32.46°, rel. 99.1, (1 1 0)
2θ = 33.20°, rel. 24.1, (1 1 1)
2θ = 42.95°, rel. 23.8, (1 1 4)
2θ = 44.78°, rel. 30.1, (0 2 0)
2θ = 48.31°, rel. 24.0, (2 0 0)
2θ = 53.69°, rel. 47.6, (1 1 6)
2θ = 55.71°, rel. 41.6, (1 2 3)
2θ = 58.02°, rel. 31.7, (2 1 3)

=====

Theoretical X-ray diffraction stick pattern
Compound: Sm3Y4Bi4
Radiation: Cu Kα (weighted mean of Kα1 and Kα2)
Structure: DFT lattice parameters and positions (PBE)

Peak list (10 most intense, 10 to 90 degrees two-theta, in order of rising 2θ)
d (Å)	I/Imax
4.369	20
3.098	88
2.891	100
2.770	44
2.692	30
2.479	39
2.425	42
2.111	28
1.607	21
1.604	41

Structure:
Cell lengths 4.222, 9.446, 17.478 Å; angles 90.00, 90.00, 90.00 degrees
Space group Immm (No. 71)
Unique sites:
1 Sm 0.000 0.000 0.000 [2 per cell]
2 Sm 0.000 0.500 0.104 [4 per cell]
3 Y 0.000 0.311 0.331 [8 per cell]
4 Bi 0.000 0.000 0.257 [4 per cell]
5 Bi 0.000 0.206 0.500 [4 per cell]

***

Theoretical X-ray diffraction stick pattern
Compound: SmY3Bi4
Radiation: Cu Kα (weighted mean of Kα1 and Kα2)
Structure: DFT lattice parameters and positions (PBE)

Peak list (10 most intense, 10 to 90 degrees two-theta, in order of rising 2θ)
d (Å)	I/Imax
3.674	19
3.182	100
2.250	78
1.919	11
1.837	28
1.591	13
1.460	5
1.423	37
1.299	28
1.125	9

Structure:
Cell lengths 6.363, 6.363, 6.363 Å; angles 90.00, 90.00, 90.00 degrees
Space group Pm-3m (No. 221)
Unique sites:
1 Sm 0.000 0.000 0.000 [1 per cell]
2 Y 0.000 0.500 0.500 [3 per cell]
3 Bi 0.000 0.000 0.500 [3 per cell]
4 Bi 0.500 0.500 0.500 [1 per cell]

***

Theoretical X-ray diffraction stick pattern
>>>
Back to the text.

As we were getting all of this news and so much was changing I though a lot about this quote from President Nelson talking about Harmony, Pennsylvania. "Everything that happened in this area has profound implications for your lives.

I have never felt like these things relate more to me than they do now. We always share that Joseph and Emma had the faith to follow the Lord when they didn't know what the future held. I feel just like them stuck in limbo waiting to figure out what's going to happen to me. I really don't know what the future holds, but I know that the Lord has a plan and that I will follow him. 

I hope you all stay safe and that you don't catch any diseases (or a virus). 
stay safe!

Sister Larsen

Monday, March 9, 2020

October 28, 2019 - Best Mission Ever (Week 33) - Susquehanna, PA

Well another week in the books and it's time for me to say goodbye to my dear Priesthood Restoration Site. But I'm on to new and better adventures.

I have loved it here though and I am grateful for the opportunity that I have had to strengthen my testimony of Joseph Smith and the Prophet of the Restoration.

But I am also so very grateful for the friendships that I was able to make here. I have learned so much from these sisters, the couples, and also these branch members. I couldn't have asked for a greater experience here!

Sister Larsen

"And every one that hath forsaken houses, or brethren, or sisters, or father, or mother, or wife, or children, or lands, for my name's sake, shall receive an hundredfold, and shall inherit everlasting life."

Forsake for His name's sake to receive an hundredfold and everlasting life!

March 9, 2020 - Mayte (Week 51) - Susquehanna, PA

Well everyone, I have made it back home to the Priesthood Restoration Site! It honestly feels like we never even left. 

Nothing very exciting happened this week... I am companions with Sister Rodriguez and I am so pumped for this transfer! Life is honestly so great here. 

For basically all of this week Sister Reynolds was sick, and so Sister Rodriguez and I were the only sisters at the site. Well, I guess everyone heard about that and decided to come on Saturday. We ended up taking 5 tours that day! It was definitely different than how Friday was. We didn't take too many tours on Friday... So after studying all morning we watched some movies and crocheted some nice hats haha. 

_Inserted here: calculated crystals_
No. 1
This entry pairs a crystal structure of Y3ErRu2 with its calculated X-ray diffraction stick pattern. Radiation: copper Kα. Structure: a crystal structure in Alexandria, relaxed with PBE.
Peak positions follow from Bragg's law for the DFT cell and can differ from measured ones.

Principal peaks in the range 2θ = 10–80°, in order of rising 2θ:
2θ (°), I/Imax, hkl
22.55, 85, 1 2 1
29.39, 48, 1 1 2
35.01, 76, 1 3 2
37.81, 100, 2 4 0
39.42, 36, 2 2 2
65.99, 38, 2 4 4

Structure:
Unit cell a=6.709 b=13.499 c=7.045 alpha=90.00 beta=90.00 gamma=90.00
Space group Ibam (No. 72)
One atom of each set of equivalent atoms:
Y  0.000  0.000  0.250
Y  0.000  0.266  0.250
Er  0.000  0.500  0.000
Ru  0.223  0.134  0.000

No. 2
This entry pairs a crystal structure of YErRu2 with its calculated X-ray diffraction stick pattern. Radiation: copper Kα. Structure: a crystal structure in Alexandria, relaxed with PBE.
Peak positions follow from Bragg's law for the DFT cell and can differ from measured ones.

Principal peaks in the range 2θ = 10–80°, in order of rising 2θ:
2θ (°), I/Imax, hkl
22.71, 6, 1 1 1
37.51, 100, 2 2 0
44.30, 3, 3 1 1
54.09, 17, 4 0 0
59.40, 1, 3 3 1
67.68, 35, 4 2 2

Structure:
Unit cell a=6.782 b=6.782 c=6.782 alpha=90.00 beta=90.00 gamma=90.00
Space group Fm-3m (No. 225)
One atom of each set of equivalent atoms:
Y  0.000  0.000  0.000
Er  0.000  0.000  0.500
Ru  0.250  0.250  0.250

No. 3
This entry pairs a crystal structure of Er2Zn3Ru with its calculated X-ray diffraction stick pattern. Radiation: copper Kα. Structure: a crystal structure in Alexandria, relaxed with PBE.
Peak positions follow from Bragg's law for the DFT cell and can differ from measured ones.

Principal peaks in the range 2θ = 10–80°, in order of rising 2θ:
2θ (°), I/Imax, hkl
33.09, 41, 1 1 1
33.79, 57, 0 2 0
38.91, 45, 1 1 -2
39.51, 100, 3 1 0
39.81, 33, 2 2 -1
64.30, 23, 6 0 -1

Structure:
Unit cell a=9.181 b=5.311 c=5.414 alpha=90.00 beta=124.41 gamma=90.00
Space group C2/m (No. 12)
One atom of each set of equivalent atoms:
Er  0.128  0.000  0.382
Zn  0.000  0.500  0.000
Zn  0.250  0.250  0.000
Ru  0.000  0.500  0.500

No. 4
This entry pairs a crystal structure of ErZn6Ru2 with its calculated X-ray diffraction stick pattern. Radiation: copper Kα. Structure: a crystal structure in Alexandria, relaxed with PBE.
Peak positions follow from Bragg's law for the DFT cell and can differ from measured ones.

Principal peaks in the range 2θ = 10–80°, in order of rising 2θ:
2θ (°), I/Imax, hkl
27.35, 24, 0 1 3
34.74, 25, 0 2 2
38.26, 100, 1 2 1
39.86, 53, 1 1 4
41.14, 61, 2 0 0
43.27, 27, 1 0 5

Structure:
Unit cell a=4.387 b=5.734 c=11.891 alpha=90.00 beta=90.00 gamma=90.00
Space group Immm (No. 71)
One atom of each set of equivalent atoms:
Er  0.000  0.000  0.000
Zn  0.000  0.203  0.500
Zn  0.000  0.241  0.296
Ru  0.000  0.500  0.110

No. 5

It is definitely starting to pick up as the weather gets nicer though. Hopefully all the trees start getting some leaves soon. 

So sorry that this email is short and has no pictures, but it will definitely be better next week. Hope you all are doing amazing!

Sister Larsen

Monday, March 2, 2020

March 2, 2020 - That Fit Mad Sturdy (Week 50) - Philadelphia, PA

Hello hello!

This week has been crazy busy knowing that Sister Hales and I are both being transferred. I am going to miss the Independence Ward, but I am also so excited to go back to the Priesthood Restoration Site. 

I was thinking a lot about what I learned from my time in this area, and here is what I learned: MIRACLES DO HAPPEN!! 

When I first got here we didnt have anyone to teach and we spent a lot of time with less active members. My second transfer here we did a lot of finding, and there were some pretty mean people. I have never received so much persecution before. At this point, I was just about to give up. But my third transfer here came around and miracles started to happen. 

Things still weren't the easiest, we got bible bashed and people told us that we weren't going to find salvation, but we pressed on. And that is when we found Justin! We met Justin street contacting and at first he wasnt super interested. Well we met with him and introduced the Book of Mormon and he loved it. He told us that he wants to get baptized and now he is preparing for baptism! 

Justin's story is truly a miracle, God has His hand in every detail. Only a few days before we met Justin he was staying at a hotel. He opened the nightstand drawer and there was a Book of Mormon in it. Well, a few days later we came by and talked about the Book of Mormon. He told it as a sign that this is the path that God wants him on. 

I spent 3 transfers here with what felt like not much success, but as I kept going and moving forward so many good things came out of it. So many less actives started coming back, and we were able to find and help Justin. 

So whenever you are struggling and having a hard time, always remember that miracles do happen!

Love you all! 
Over and out,

Sister Larsen 

My Philadelphia friends!!!